# Work order
It remains to start at the top of the entries below and quote each line, ending with the one that has "geometry-optimized AlAg3Au".

# Input
/*
1.
Entry from Alexandria: a geometry-optimized Al4TlCr structure (PBE).

Values from the calculation:
As for the crystal system: cubic. The value obtained for the formation energy is 0.32 eV/atom. The calculation puts the calculated density at 5.409 g/cm³.

a b c (Å): 7.6480 7.6480 7.6480
angles (deg): 90.00 90.00 90.00
Space group F-43m (No. 216)
Unique sites:
1 Al 0.1244 0.1244 0.1244 (multiplicity 16)
2 Tl 0.0000 0.0000 0.5000 (multiplicity 4)
3 Cr 0.2500 0.2500 0.7500 (multiplicity 4)



2.
Entry from Alexandria: a geometry-optimized RbPuSeO5 structure (PBE).

Values from the calculation:
As for the crystal system: monoclinic. The calculation puts the total DFT energy (no corrections) at -7.29 eV per atom. The calculation puts the calculated density at 5.276 g/cm³.

a b c (Å): 7.0656 10.8961 8.0323
angles (deg): 90.00 96.06 90.00
Space group C2/c (No. 15)
Unique sites:
1 Rb 0.0000 0.1515 0.2500 (multiplicity 4)
2 Pu 0.0000 0.5000 0.0000 (multiplicity 4)
3 Se 0.0000 0.2029 0.7500 (multiplicity 4)
4 O 0.0000 0.4371 0.2500 (multiplicity 4)
5 O 0.0780 0.2964 0.6003 (multiplicity 8)
6 O 0.2436 0.0347 0.9954 (multiplicity 8)



3.
Entry from Alexandria: a geometry-optimized Pm2Pr5Tl structure (PBE).

Values from the calculation:
As for the crystal system: orthorhombic. The value obtained for the formation energy is -0.01 eV/atom. The calculation puts the calculated density at 7.303 g/cm³.

a b c (Å): 3.5777 11.4616 13.2955
angles (deg): 90.00 90.00 90.00
Space group Immm (No. 71)
Unique sites:
1 Pm 0.0000 0.0000 0.2310 (multiplicity 4)
2 Pr 0.0000 0.0000 0.5000 (multiplicity 2)
3 Pr 0.0000 0.2621 0.1301 (multiplicity 8)
4 Tl 0.0000 0.5000 0.5000 (multiplicity 2)



4.
Entry from Alexandria: a geometry-optimized AcGe2Pd5Pb structure (PBE).

Values from the calculation:
As for the crystal system: tetragonal. The value obtained for the formation energy is -0.43 eV/atom. The calculation puts the calculated density at 9.247 g/cm³.

a b c (Å): 4.1363 4.1363 11.6670
angles (deg): 90.00 90.00 90.00
Space group P4/mmm (No. 123)
Unique sites:
1 Ac 0.0000 0.0000 0.0000 (multiplicity 1)
2 Ge 0.5000 0.5000 0.2108 (multiplicity 2)
3 Pd 0.0000 0.5000 0.3277 (multiplicity 4)
4 Pd 0.5000 0.5000 0.0000 (multiplicity 1)
5 Pb 0.0000 0.0000 0.5000 (multiplicity 1)



5.
Entry from Alexandria: a geometry-optimized Sm3Ho5Sc3 structure (PBE).

Values from the calculation:
As for the crystal system: hexagonal. The value obtained for the formation energy is 0.35 eV/atom. The calculation puts the calculated density at 6.804 g/cm³.

a b c (Å): 10.8412 10.8412 3.3822
angles (deg): 90.00 90.00 120.00
Space group P-62m (No. 189)
Unique sites:
1 Sm 0.0000 0.3444 0.0000 (multiplicity 3)
2 Ho 0.0000 0.8341 0.0000 (multiplicity 3)
3 Ho 0.3333 0.6667 0.0000 (multiplicity 2)
4 Sc 0.0000 0.5913 0.5000 (multiplicity 3)



6.
Entry from Alexandria: a geometry-optimized TlGaH2 structure (PBE).

Values from the calculation:
As for the crystal system: triclinic. The calculation puts the total DFT energy (no corrections) at -2.95 eV per atom. The calculation puts the calculated density at 5.436 g/cm³.

a b c (Å): 3.3661 3.9905 12.7614
angles (deg): 81.46 84.41 89.99
Space group P-1 (No. 2)
Unique sites:
1 Tl 0.0797 0.1109 0.2849 (multiplicity 2)
2 Ga 0.0000 0.5000 0.5000 (multiplicity 1)
3 Ga 0.5000 0.0000 0.5000 (multiplicity 1)
4 H 0.2644 0.2652 0.9718 (multiplicity 2)
5 H 0.2874 0.2967 0.9118 (multiplicity 2)



7.
Entry from Alexandria: a geometry-optimized AlAg3Au structure (PBE).

Values from the calculation:
As for the crystal system: cubic. The value obtained for the formation energy is 0.59 eV/atom. The calculation puts the calculated density at 8.276 g/cm³.

a b c (Å): 4.7895 4.7895 4.7895
angles (deg): 90.00 90.00 90.00
Space group Pm-3m (No. 221)
Unique sites:
1 Al 0.0000 0.0000 0.0000 (multiplicity 1)
2 Ag 0.0000 0.0000 0.5000 (multiplicity 3)
3 Au 0.5000 0.5000 0.5000 (multiplicity 1)



8.
*/

# Written answer
1.
Entry from Alexandria: a geometry-optimized Al4TlCr structure (PBE).

Values from the calculation:
As for the crystal system: cubic. The value obtained for the formation energy is 0.32 eV/atom. The calculation puts the calculated density at 5.409 g/cm³.

a b c (Å): 7.6480 7.6480 7.6480
angles (deg): 90.00 90.00 90.00
Space group F-43m (No. 216)
Unique sites:
1 Al 0.1244 0.1244 0.1244 (multiplicity 16)
2 Tl 0.0000 0.0000 0.5000 (multiplicity 4)
3 Cr 0.2500 0.2500 0.7500 (multiplicity 4)



2.
Entry from Alexandria: a geometry-optimized RbPuSeO5 structure (PBE).

Values from the calculation:
As for the crystal system: monoclinic. The calculation puts the total DFT energy (no corrections) at -7.29 eV per atom. The calculation puts the calculated density at 5.276 g/cm³.

a b c (Å): 7.0656 10.8961 8.0323
angles (deg): 90.00 96.06 90.00
Space group C2/c (No. 15)
Unique sites:
1 Rb 0.0000 0.1515 0.2500 (multiplicity 4)
2 Pu 0.0000 0.5000 0.0000 (multiplicity 4)
3 Se 0.0000 0.2029 0.7500 (multiplicity 4)
4 O 0.0000 0.4371 0.2500 (multiplicity 4)
5 O 0.0780 0.2964 0.6003 (multiplicity 8)
6 O 0.2436 0.0347 0.9954 (multiplicity 8)



3.
Entry from Alexandria: a geometry-optimized Pm2Pr5Tl structure (PBE).

Values from the calculation:
As for the crystal system: orthorhombic. The value obtained for the formation energy is -0.01 eV/atom. The calculation puts the calculated density at 7.303 g/cm³.

a b c (Å): 3.5777 11.4616 13.2955
angles (deg): 90.00 90.00 90.00
Space group Immm (No. 71)
Unique sites:
1 Pm 0.0000 0.0000 0.2310 (multiplicity 4)
2 Pr 0.0000 0.0000 0.5000 (multiplicity 2)
3 Pr 0.0000 0.2621 0.1301 (multiplicity 8)
4 Tl 0.0000 0.5000 0.5000 (multiplicity 2)



4.
Entry from Alexandria: a geometry-optimized AcGe2Pd5Pb structure (PBE).

Values from the calculation:
As for the crystal system: tetragonal. The value obtained for the formation energy is -0.43 eV/atom. The calculation puts the calculated density at 9.247 g/cm³.

a b c (Å): 4.1363 4.1363 11.6670
angles (deg): 90.00 90.00 90.00
Space group P4/mmm (No. 123)
Unique sites:
1 Ac 0.0000 0.0000 0.0000 (multiplicity 1)
2 Ge 0.5000 0.5000 0.2108 (multiplicity 2)
3 Pd 0.0000 0.5000 0.3277 (multiplicity 4)
4 Pd 0.5000 0.5000 0.0000 (multiplicity 1)
5 Pb 0.0000 0.0000 0.5000 (multiplicity 1)



5.
Entry from Alexandria: a geometry-optimized Sm3Ho5Sc3 structure (PBE).

Values from the calculation:
As for the crystal system: hexagonal. The value obtained for the formation energy is 0.35 eV/atom. The calculation puts the calculated density at 6.804 g/cm³.

a b c (Å): 10.8412 10.8412 3.3822
angles (deg): 90.00 90.00 120.00
Space group P-62m (No. 189)
Unique sites:
1 Sm 0.0000 0.3444 0.0000 (multiplicity 3)
2 Ho 0.0000 0.8341 0.0000 (multiplicity 3)
3 Ho 0.3333 0.6667 0.0000 (multiplicity 2)
4 Sc 0.0000 0.5913 0.5000 (multiplicity 3)



6.
Entry from Alexandria: a geometry-optimized TlGaH2 structure (PBE).

Values from the calculation:
As for the crystal system: triclinic. The calculation puts the total DFT energy (no corrections) at -2.95 eV per atom. The calculation puts the calculated density at 5.436 g/cm³.

a b c (Å): 3.3661 3.9905 12.7614
angles (deg): 81.46 84.41 89.99
Space group P-1 (No. 2)
Unique sites:
1 Tl 0.0797 0.1109 0.2849 (multiplicity 2)
2 Ga 0.0000 0.5000 0.5000 (multiplicity 1)
3 Ga 0.5000 0.0000 0.5000 (multiplicity 1)
4 H 0.2644 0.2652 0.9718 (multiplicity 2)
5 H 0.2874 0.2967 0.9118 (multiplicity 2)



7.
Entry from Alexandria: a geometry-optimized AlAg3Au structure (PBE).